Ok but it kinda is though
Ok but it kinda is though
That’s irrelevant. The study showed that people were in better mental health and the reason why he said it was because they were doing fulfilling hobbies is probably because they told the researchers that’s what they did instead.
Bruv real libraries will let you download books for free
It’s like there’s a financial incentive to have crime happen
I don’t think single party technically would cover that. The neighbors would have to be involved in the interaction to give themselves permission to record it.
I freaking love old time radio, that stuff is great!
That was a lot of delving into your personal opinions that I don’t care about to bury a “you’re right” in there. How typical, the only thing you relate to emotions is being unable to control someone else. They are another thing to get in the way of what you, like a selfish child that became a dictator, want. No empathy for the joys in life or sympathy for the sorrows, you hypocritically aggrandize logic through illogical opinions. They aren’t there specifically for decision making or as an accurate heuristic, they aren’t a tool for you to control, they are an experience to have while alive. Something you seem to be half assing. I’m glad you’re getting help but frankly it seems like you have a long way to go if you’re that level of control freak.
If you’re upset by this, you’re the type to be dismissive of emotions, I see no reason why I should consider yours in the slightest. If you don’t like how that feels, to have your emotions ignored, then I’ve given you something to think about, haven’t I?
And my comment was more to comment on the attitude rather than Linux itself.
Since we’re talking about how people come off, you come off as one of those people who like to think they are logical and rational but are very dismissive of emotions (of others) and come off as condescending, because you are. You’re also probably pedantic.
So, to appeal to your rational side, just because a decision is based off of emotion doesn’t inherently invalidate it. If someone said “3 isn’t a prime number you donkey” and you got mad and argued that it was, you’re still correct even if the way you got to that conclusion wasn’t rational.
It’s probably a variation of ad homonym but I’m not going to bother to look up the specifics.
Or maybe they just say they will try it to get you to stop badgering them about Linux
It’s a little calculated, but probably wouldn’t get picked up on by people.
I’m hella tired so I thought this said Hellova boss
Yeah, it’s a piss baby attitude. Why do you care if they don’t?
Fair enough, and who knows, maybe I will try it, I like open source and everything. It’s just op’s attitude was unappealing to say the least.
It’s less of a knee jerk reaction of insolence against some perceived authority to rebel against, and more that I found the demeanor and entitlement of the post to be so utterly repugnant that I was put off. “You said you’d use Linux and didn’t how dare you”. It’s like a toddler throwing a tantrum over people whom may not exist.
**Calculated crystals, kept here for reference:**
+++
# BiPPdAuN
Computed PXRD pattern, CuKα. Input: a crystal structure in Alexandria, relaxed with PBE.
Neutral-atom scattering factors, no anomalous dispersion.

Atomic structure:
Cell lengths 3.586, 4.359, 7.145 Å; angles 73.42, 89.89, 65.88 degrees
Space group P1 (No. 1)
Inequivalent atoms, fractional coordinates:
Bi1 0.000 0.000 0.000
P1 0.531 0.935 0.454
Pd1 0.866 0.267 0.516
Au1 0.228 0.547 0.754
N1 0.600 0.797 0.263

Top 10 peaks for 2θ from 5° to 70°, by angle:
(0 0 1), d = 6.789 Å, 13.04 deg, rel. 100; (1 1 0), d = 3.240 Å, 27.53 deg, rel. 79; (0 1 2), d = 3.041 Å, 29.37 deg, rel. 68; (0 1 -1), d = 2.936 Å, 30.44 deg, rel. 52; (1 0 1), d = 2.788 Å, 32.10 deg, rel. 44; (1 1 -1), d = 2.777 Å, 32.23 deg, rel. 44; (1 0 -2), d = 2.518 Å, 35.66 deg, rel. 69; (0 1 -2), d = 2.206 Å, 40.91 deg, rel. 60; (-1 1 1), d = 2.132 Å, 42.39 deg, rel. 37; (0 2 1), d = 1.987 Å, 45.66 deg, rel. 42

=====

# BaPr2TmO5
Computed PXRD pattern, CuKα. Input: a crystal structure in Alexandria, relaxed with PBE.
Neutral-atom scattering factors, no anomalous dispersion.

Atomic structure:
Cell lengths 4.201, 6.117, 12.042 Å; angles 90.00, 90.00, 90.00 degrees
Space group Immm (No. 71)
Inequivalent atoms, fractional coordinates:
Ba1 0.000 0.000 0.000
Pr1 0.000 0.500 0.216
Tm1 0.000 0.000 0.500
O1 0.000 0.237 0.357
O2 0.000 0.500 0.000

Top 10 peaks for 2θ from 5° to 70°, by angle:
(0 1 1), d = 5.454 Å, 16.25 deg, rel. 9; (0 2 0), d = 3.058 Å, 29.20 deg, rel. 22; (1 1 2), d = 3.003 Å, 29.75 deg, rel. 100; (0 2 4), d = 2.145 Å, 42.12 deg, rel. 18; (2 0 0), d = 2.101 Å, 43.06 deg, rel. 12; (1 3 2), d = 1.755 Å, 52.12 deg, rel. 18; (1 1 6), d = 1.736 Å, 52.71 deg, rel. 8; (2 2 0), d = 1.732 Å, 52.88 deg, rel. 9; (2 0 4), d = 1.723 Å, 53.14 deg, rel. 8; (2 2 4), d = 1.501 Å, 61.81 deg, rel. 11

=====

# AgPb4
Computed PXRD pattern, CuKα. Input: a crystal structure in Alexandria, relaxed with PBE.
Neutral-atom scattering factors, no anomalous dispersion.

Atomic structure:
Cell lengths 6.930, 6.930, 6.162 Å; angles 90.00, 90.00, 90.00 degrees
Space group P4/nbm (No. 125, origin choice 2)
Inequivalent atoms, fractional coordinates:
Ag1 0.250 0.250 0.000
Pb1 0.078 0.578 0.261

Top 10 peaks for 2θ from 5° to 70°, by angle:
(2 0 0), d = 3.465 Å, 25.71 deg, rel. 14; (0 0 2), d = 3.081 Å, 28.98 deg, rel. 22; (2 1 1), d = 2.769 Å, 32.33 deg, rel. 100; (1 1 2), d = 2.608 Å, 34.38 deg, rel. 10; (2 0 2), d = 2.302 Å, 39.13 deg, rel. 27; (3 1 0), d = 2.191 Å, 41.19 deg, rel. 18; (2 1 3), d = 1.712 Å, 53.53 deg, rel. 24; (3 3 0), d = 1.633 Å, 56.32 deg, rel. 7; (4 1 1), d = 1.622 Å, 56.77 deg, rel. 26; (3 3 2), d = 1.443 Å, 64.58 deg, rel. 16

=====

# Ca3Si2As4
Computed PXRD pattern, CuKα. Input: a crystal structure in Alexandria, relaxed with PBE.
Neutral-atom scattering factors, no anomalous dispersion.

Atomic structure:
Cell lengths 7.323, 17.800, 7.186 Å; angles 90.00, 111.67, 90.00 degrees
Space group P2_1/c (No. 14)
Inequivalent atoms, fractional coordinates:
Ca1 0.219 0.184 0.013
+++
**Back to the piece:**
As for your related question, the subtext is that you are accusing me of being an unthinking person who reacts only out of emotion, and I don’t particularly care for that, nor do I have any reason to tell you my internal mental processes, so I decline answering it.
This made me never want to try Linux.
I think that they aren’t sweating because they also own the means of spreading media. Sure it’s “free or incredibly cheap” but when they own all of those they can still control what people are or don’t see. Just look up content creators complaining about YouTube’s algorithm or changing policies, stuff getting flagged for plagiarism incorrectly or demonetized.
Look at Twitter, which I will dead name, where one idiot can decide who gets to see what and what’s buried.
Ah, so passing on the tradition of not supporting your children, got it
Oh, I see, you misunderstood here. I was doing this old school traditional thing called “social graces”, which evidently you’re unaware of. It’s so people can save face, among other things. I was using a tactical social maneuver called “giving you the benefit of the doubt” and “giving you an out”, so that you could make yourself look like less the fool.
Since you’re clearly uneducated on social graces, you failed to “read the room” and what you posted could be interpreted as insulting most of the people commenting, but was vague enough to be about other people.
So I gave you the opportunity to explain yourself in a polite way, and now you’ve thrown it back into my face with an insult.
I had no idea I was talking to the societal equivalent of an angsty slug, but that’s what the benefit of the doubt is for.
You sad, lonely thing you.
Yeah I mean, with the death of local news, it’s harder to keep up because you have to investigate and research everything yourself. Which some might hand wave away as not a big deal but when you are working 3 jobs it’s hard to find time.